'''
(1)
The following is a quantum chemistry calculation of a cluster of 2 separate species, C37H49ClIN2O4PS in total at a distorted geometry, from OMol25.

Structure (XYZ):
```
96
Properties=species:S:1:pos:R:3:forces:R:3:mulliken_charge:R:1
I 1.382 4.772 -3.467 0.486 0.470 -0.115 -0.317
Cl 4.189 -5.951 -5.009 -1.383 -0.315 0.828 -0.158
S 3.555 -1.397 0.676 -1.253 0.146 -1.565 -0.099
P -0.292 3.635 -1.973 -0.937 -1.070 1.141 0.120
O 5.465 1.025 4.025 -0.439 -0.525 -0.210 -0.854
O -0.884 4.851 -0.924 1.905 -0.662 -0.818 -0.485
O 1.787 -6.882 -5.650 3.217 1.969 3.874 -0.508
O 7.605 2.247 1.455 0.232 0.437 0.244 -0.815
N -0.592 -2.288 -4.191 -0.243 -0.593 0.059 -0.608
N 2.734 -0.924 -2.429 -1.297 -0.959 2.335 -0.256
C -0.197 5.904 3.306 0.947 -3.572 -2.790 -0.417
C 3.027 -4.189 0.021 -1.111 0.388 -4.173 -0.719
C 1.255 5.673 2.799 -2.039 -1.912 -0.961 -0.539
C 1.330 1.191 -1.978 0.734 -0.519 2.349 -1.042
C 7.025 2.270 2.659 0.394 0.048 -1.115 -0.451
C -1.565 -0.661 2.571 -0.533 0.487 0.506 0.066
C 0.124 -3.595 -4.484 -0.029 1.322 0.243 -0.184
C 2.500 0.027 0.095 -1.333 1.531 -1.723 0.622
C -6.341 1.987 -2.089 1.397 -0.002 0.338 -0.695
C 0.726 2.346 -1.072 2.251 -2.303 1.585 0.751
C 1.637 4.484 1.887 -3.319 0.289 0.964 -0.181
C 2.156 -4.990 -2.413 1.334 1.919 2.925 0.798
C -4.719 2.025 -1.929 -0.558 -1.665 -0.366 -0.392
C 1.939 1.128 1.043 -0.618 0.700 -2.322 -0.330
C 0.377 0.073 4.305 -0.306 0.513 -0.243 -0.951
C -3.407 0.261 -0.395 -0.191 -0.542 0.117 0.172
C 2.215 0.046 -1.445 -2.214 3.897 1.865 0.229
C -4.256 0.467 -1.768 0.385 0.372 1.390 -0.612
C 2.456 -6.407 -4.686 -3.961 -1.788 -3.325 0.368
C 3.040 -2.741 -0.515 -0.856 -0.922 -1.056 0.308
C 1.481 -0.275 3.197 1.235 0.090 1.153 -0.340
C -3.760 -1.719 1.405 -0.521 0.168 -0.723 -0.818
C -1.268 4.852 2.836 3.264 0.302 -0.742 -0.659
C 1.071 2.300 0.445 0.771 -2.094 -0.840 -0.338
C 2.266 1.041 2.632 -0.060 -1.110 -1.763 0.287
C 2.186 -3.500 -2.911 0.890 -0.447 1.655 1.070
C -3.195 -1.299 -0.038 0.371 0.010 -0.222 -0.658
C -0.897 3.641 1.904 2.320 2.480 1.144 -0.039
C 1.710 -3.228 -4.436 -0.786 -0.351 1.161 -1.074
C -7.059 1.658 -0.690 -0.562 -0.250 -0.952 -0.811
C -3.161 -0.878 2.633 0.155 -0.890 0.158 -0.775
C 1.692 -6.234 -3.294 0.894 0.469 0.951 -0.471
C 2.655 -2.319 -1.978 -0.417 -4.265 0.841 -0.303
C 0.554 3.437 1.416 0.044 2.553 1.737 -0.196
C 6.057 0.993 2.824 -0.330 -0.018 1.149 0.502
C -1.091 0.351 3.724 -0.375 -0.197 0.025 -0.131
C 2.601 -5.323 -0.940 0.097 3.559 -1.168 -1.084
H 3.347 -4.447 1.085 -0.547 0.694 -1.694 0.318
H -0.215 -3.911 -5.528 0.547 0.137 1.503 0.256
H -4.233 2.399 -2.892 -0.686 -0.068 1.504 0.284
H -1.264 -0.220 1.554 -0.294 -0.884 1.458 0.012
H 2.302 -0.887 3.739 -1.354 0.889 -0.883 0.299
H -2.339 5.056 3.191 1.729 -0.682 -0.748 0.269
H -1.853 0.266 4.589 1.168 0.233 -1.210 0.400
H 2.723 4.335 1.531 -1.966 0.295 0.705 0.406
H 6.393 3.151 2.893 -0.469 0.111 -0.291 0.145
H 1.977 1.993 3.192 0.378 -1.361 -0.960 0.486
H 1.767 -2.122 -4.727 0.012 -1.604 0.501 0.351
H -4.397 2.626 -0.998 -0.470 -0.796 -1.639 0.231
H -0.390 -1.980 -3.227 0.008 -0.305 -0.558 0.149
H 2.202 -0.749 -3.291 0.507 -0.445 0.439 0.392
H 2.327 -3.803 -5.205 -0.822 0.613 1.197 0.257
H 2.620 -6.399 -0.551 -0.111 1.717 -0.795 0.143
H -3.625 0.095 -2.645 -0.908 0.598 1.102 0.215
H -1.064 -1.670 2.757 -0.615 1.249 -0.552 0.275
H 7.698 2.243 3.540 0.296 -0.476 0.088 0.182
H -1.166 1.411 3.306 0.172 -1.351 0.655 -0.247
H -0.471 6.806 3.967 0.472 -1.721 -1.223 0.286
H -3.626 -2.860 1.506 -0.024 1.762 0.115 0.352
H 1.904 -7.201 -2.692 -0.096 1.586 -0.932 0.335
H 0.708 1.031 4.861 -0.411 -1.550 -0.805 0.360
H -3.756 0.096 2.739 1.101 -1.167 -0.241 0.278
H 2.086 6.409 3.070 -1.377 -1.195 -0.342 0.309
H -6.544 2.131 0.211 -0.692 -0.654 -1.265 0.215
H -7.120 0.510 -0.584 0.257 1.864 0.148 0.211
H -2.075 -1.579 -0.101 -1.738 0.505 0.125 0.296
H 0.304 -0.748 5.099 0.150 0.938 -1.205 0.302
H -5.210 -0.181 -1.695 1.564 0.832 -0.123 0.377
H -4.899 -1.528 1.384 1.587 -0.368 0.068 0.255
'''
The reader should give back all of the contents earlier on unchanged.
(1)
The following is a quantum chemistry calculation of a cluster of 2 separate species, C37H49ClIN2O4PS in total at a distorted geometry, from OMol25.

Structure (XYZ):
```
96
Properties=species:S:1:pos:R:3:forces:R:3:mulliken_charge:R:1
I 1.382 4.772 -3.467 0.486 0.470 -0.115 -0.317
Cl 4.189 -5.951 -5.009 -1.383 -0.315 0.828 -0.158
S 3.555 -1.397 0.676 -1.253 0.146 -1.565 -0.099
P -0.292 3.635 -1.973 -0.937 -1.070 1.141 0.120
O 5.465 1.025 4.025 -0.439 -0.525 -0.210 -0.854
O -0.884 4.851 -0.924 1.905 -0.662 -0.818 -0.485
O 1.787 -6.882 -5.650 3.217 1.969 3.874 -0.508
O 7.605 2.247 1.455 0.232 0.437 0.244 -0.815
N -0.592 -2.288 -4.191 -0.243 -0.593 0.059 -0.608
N 2.734 -0.924 -2.429 -1.297 -0.959 2.335 -0.256
C -0.197 5.904 3.306 0.947 -3.572 -2.790 -0.417
C 3.027 -4.189 0.021 -1.111 0.388 -4.173 -0.719
C 1.255 5.673 2.799 -2.039 -1.912 -0.961 -0.539
C 1.330 1.191 -1.978 0.734 -0.519 2.349 -1.042
C 7.025 2.270 2.659 0.394 0.048 -1.115 -0.451
C -1.565 -0.661 2.571 -0.533 0.487 0.506 0.066
C 0.124 -3.595 -4.484 -0.029 1.322 0.243 -0.184
C 2.500 0.027 0.095 -1.333 1.531 -1.723 0.622
C -6.341 1.987 -2.089 1.397 -0.002 0.338 -0.695
C 0.726 2.346 -1.072 2.251 -2.303 1.585 0.751
C 1.637 4.484 1.887 -3.319 0.289 0.964 -0.181
C 2.156 -4.990 -2.413 1.334 1.919 2.925 0.798
C -4.719 2.025 -1.929 -0.558 -1.665 -0.366 -0.392
C 1.939 1.128 1.043 -0.618 0.700 -2.322 -0.330
C 0.377 0.073 4.305 -0.306 0.513 -0.243 -0.951
C -3.407 0.261 -0.395 -0.191 -0.542 0.117 0.172
C 2.215 0.046 -1.445 -2.214 3.897 1.865 0.229
C -4.256 0.467 -1.768 0.385 0.372 1.390 -0.612
C 2.456 -6.407 -4.686 -3.961 -1.788 -3.325 0.368
C 3.040 -2.741 -0.515 -0.856 -0.922 -1.056 0.308
C 1.481 -0.275 3.197 1.235 0.090 1.153 -0.340
C -3.760 -1.719 1.405 -0.521 0.168 -0.723 -0.818
C -1.268 4.852 2.836 3.264 0.302 -0.742 -0.659
C 1.071 2.300 0.445 0.771 -2.094 -0.840 -0.338
C 2.266 1.041 2.632 -0.060 -1.110 -1.763 0.287
C 2.186 -3.500 -2.911 0.890 -0.447 1.655 1.070
C -3.195 -1.299 -0.038 0.371 0.010 -0.222 -0.658
C -0.897 3.641 1.904 2.320 2.480 1.144 -0.039
C 1.710 -3.228 -4.436 -0.786 -0.351 1.161 -1.074
C -7.059 1.658 -0.690 -0.562 -0.250 -0.952 -0.811
C -3.161 -0.878 2.633 0.155 -0.890 0.158 -0.775
C 1.692 -6.234 -3.294 0.894 0.469 0.951 -0.471
C 2.655 -2.319 -1.978 -0.417 -4.265 0.841 -0.303
C 0.554 3.437 1.416 0.044 2.553 1.737 -0.196
C 6.057 0.993 2.824 -0.330 -0.018 1.149 0.502
C -1.091 0.351 3.724 -0.375 -0.197 0.025 -0.131
C 2.601 -5.323 -0.940 0.097 3.559 -1.168 -1.084
H 3.347 -4.447 1.085 -0.547 0.694 -1.694 0.318
H -0.215 -3.911 -5.528 0.547 0.137 1.503 0.256
H -4.233 2.399 -2.892 -0.686 -0.068 1.504 0.284
H -1.264 -0.220 1.554 -0.294 -0.884 1.458 0.012
H 2.302 -0.887 3.739 -1.354 0.889 -0.883 0.299
H -2.339 5.056 3.191 1.729 -0.682 -0.748 0.269
H -1.853 0.266 4.589 1.168 0.233 -1.210 0.400
H 2.723 4.335 1.531 -1.966 0.295 0.705 0.406
H 6.393 3.151 2.893 -0.469 0.111 -0.291 0.145
H 1.977 1.993 3.192 0.378 -1.361 -0.960 0.486
H 1.767 -2.122 -4.727 0.012 -1.604 0.501 0.351
H -4.397 2.626 -0.998 -0.470 -0.796 -1.639 0.231
H -0.390 -1.980 -3.227 0.008 -0.305 -0.558 0.149
H 2.202 -0.749 -3.291 0.507 -0.445 0.439 0.392
H 2.327 -3.803 -5.205 -0.822 0.613 1.197 0.257
H 2.620 -6.399 -0.551 -0.111 1.717 -0.795 0.143
H -3.625 0.095 -2.645 -0.908 0.598 1.102 0.215
H -1.064 -1.670 2.757 -0.615 1.249 -0.552 0.275
H 7.698 2.243 3.540 0.296 -0.476 0.088 0.182
H -1.166 1.411 3.306 0.172 -1.351 0.655 -0.247
H -0.471 6.806 3.967 0.472 -1.721 -1.223 0.286
H -3.626 -2.860 1.506 -0.024 1.762 0.115 0.352
H 1.904 -7.201 -2.692 -0.096 1.586 -0.932 0.335
H 0.708 1.031 4.861 -0.411 -1.550 -0.805 0.360
H -3.756 0.096 2.739 1.101 -1.167 -0.241 0.278
H 2.086 6.409 3.070 -1.377 -1.195 -0.342 0.309
H -6.544 2.131 0.211 -0.692 -0.654 -1.265 0.215
H -7.120 0.510 -0.584 0.257 1.864 0.148 0.211
H -2.075 -1.579 -0.101 -1.738 0.505 0.125 0.296
H 0.304 -0.748 5.099 0.150 0.938 -1.205 0.302
H -5.210 -0.181 -1.695 1.564 0.832 -0.123 0.377
H -4.899 -1.528 1.384 1.587 -0.368 0.068 0.255